Assignment =
Restate every line further down that contains the word "NO", please.

Contents =
+++
(1)
The following is a quantum chemistry calculation of C2H4N2O2 in the gas phase in a non-equilibrium geometry, from the Open Molecules 2025 dataset.

Computed properties:
Frontier orbital gap = 9.3 eV
SMILES string = C=NO/C=N/O
Highest occupied orbital energy = -8.71 eV
M = 88.07 g mol⁻¹
Total energy = -9206.92495 eV
Energy relative to the best compared isomer or geometry (same formula, charge and spin) = 800.6 kJ/mol
Net charge = 0

Last column: Löwdin charge in e.
Atoms and positions in Å:
C: 2.48922 -0.32725 -0.03210  0.01
N: 1.12670 -0.36356 -0.21527  -0.08
O: 0.42671 0.71920 -0.18422  -0.14
C: -0.96240 0.60914 -0.20723  -0.14
N: -1.71754 -0.47206 -0.29069  -0.11
O: -2.89570 -0.17071 -0.02566  -0.13
H: 3.15964 -1.28816 -0.06405  0.09
H: 2.98391 0.58782 0.37025  0.06
H: -1.25398 1.80932 0.20523  0.21
H: -3.35656 -1.10373 0.44375  0.24

(2)
The following is a quantum chemistry calculation of a molecular structure, C61H57BrN7O2P2Tl in a non-equilibrium geometry, from the Open Molecules 2025 dataset.

Computed properties:
Frontier orbital gap = 7.1 eV
Highest occupied orbital energy = -11.70 eV
M = 1266.41 g mol⁻¹
Total energy = -172007.69893 eV
Energy relative to the best compared isomer or geometry (same formula, charge and spin) = 327.6 kJ/mol
Net charge = +2

Last column: Löwdin charge in e.
Atoms and positions in Å:
Tl: -0.25604 0.31386 -0.78389  0.80
C: -0.75314 -1.29243 4.14822  -0.01
C: -1.79871 -0.62788 4.62585  -0.01
C: -2.64015 0.23868 3.74347  -0.15
C: -2.01777 0.42733 2.32435  -0.28
N: -1.00851 -0.48887 1.85795  0.07
C: -0.41588 -1.20375 2.72283  -0.13
C: -3.10813 0.55430 1.24964  -0.16
C: -4.42954 0.83811 1.58509  0.01
C: -5.41478 0.73234 0.62466  -0.01
C: -5.06483 0.36220 -0.65724  0.01
C: -3.71957 0.19151 -0.95787  -0.19
N: -2.76890 0.28855 -0.01752  0.11
C: -3.30480 -0.12761 -2.36433  -0.19
C: -4.22216 -0.15169 -3.41293  0.01
C: -3.78971 -0.46014 -4.69119  -0.01
C: -2.44858 -0.73256 -4.90666  -0.03
C: -1.60040 -0.67383 -3.81735  -0.21
N: -2.01344 -0.38238 -2.58446  0.01
H: -0.17625 -1.96711 4.76726  0.12
H: -2.10970 -0.74703 5.65718  0.13
H: -3.66342 -0.13955 3.78697  0.14
H: 0.40564 -1.82513 2.36759  0.11
H: -4.71387 1.12180 2.58498  0.11
H: -6.45031 0.91140 0.88171  0.13
H: -5.83358 0.20878 -1.39708  0.11
H: -5.26560 0.06934 -3.25365  0.11
H: -4.49625 -0.48386 -5.51033  0.12
H: -2.06886 -0.97920 -5.88819  0.12
H: -0.53642 -0.86554 -3.93076  0.09
C: 1.24067 -3.17206 -0.83282  -0.28
N: 2.25516 -2.60186 0.05874  -0.15
C: 2.70015 -1.34767 -0.25708  -0.20
P: 2.63717 0.45547 0.75550  1.05
C: 4.03235 0.48273 1.87727  -0.31
C: 3.85714 0.20436 3.23135  -0.12
C: 4.95348 0.14975 4.07322  -0.06
C: 6.23021 0.34859 3.56330  -0.04
C: 6.41066 0.61395 2.21352  -0.04
C: 5.31430 0.68889 1.36782  -0.06
C: 3.05422 1.64359 -0.54300  -0.32
C: 3.24557 2.98669 -0.20302  -0.06
C: 3.65983 3.89830 -1.15984  -0.05
C: 3.89446 3.49142 -2.46475  -0.04
C: 3.71625 2.15978 -2.81115  -0.05
C: 3.30456 1.24005 -1.85970  -0.09
C: 3.00150 -3.45772 0.92772  -0.24
C: 3.37699 -2.99560 2.17759  -0.02
C: 4.12552 -3.79841 3.02712  -0.06
C: 4.48780 -5.07668 2.63472  -0.07
C: 4.10826 -5.54024 1.38173  -0.06
C: 3.37244 -4.73745 0.52341  -0.02
P: -0.49009 -2.48337 -0.72497  1.00
C: -1.10649 -3.31899 -2.23428  -0.34
C: -0.66350 -2.81490 -3.45950  -0.18
C: -1.10880 -3.35577 -4.65444  -0.08
C: -2.02020 -4.40466 -4.64080  -0.05
C: -2.46391 -4.91367 -3.43062  -0.05
C: -2.01094 -4.37588 -2.23146  -0.06
C: -1.23220 -3.47099 0.61653  -0.39
C: -2.58416 -3.23653 0.88103  -0.12
C: -3.23279 -3.90323 1.90731  -0.06
C: -2.52985 -4.79632 2.70797  -0.07
C: -1.18353 -5.02145 2.46846  -0.06
C: -0.53710 -4.36551 1.42596  -0.08
H: 1.18873 -4.24560 -0.67262  0.09
H: 1.55500 -3.03044 -1.87083  0.10
H: 2.23190 -0.99431 -1.16852  0.02
H: 3.79126 -1.24113 -0.23132  0.11
H: 2.86665 0.02789 3.63378  0.09
H: 4.81229 -0.04433 5.12877  0.12
H: 7.08717 0.29682 4.22167  0.12
H: 7.40453 0.77820 1.81957  0.12
H: 5.46037 0.92465 0.32055  0.11
H: 3.08677 3.31931 0.81064  0.10
+++

Completed =
SMILES string = C=NO/C=N/O